### Entries
~~~
(1)
InSi2Pt | PBE-GGA | relaxed

Values from the calculation:
DOS at the Fermi energy in states/eV/atom: 0.5109
Spin magnetization in μB per cell: 0.00
ΔE_f (raw) in eV per atom: 0.02

Cell lengths 3.0967, 3.0967, 7.5680 Å; angles 90.00, 90.00, 92.95 degrees
With the nearest neighbours (Å) after each atom.
Atoms (fractional coordinates):
Pt (0.5000, 0.5000, 0.7500)  8 Si 2.60-2.69
Si (0.0000, 0.0000, 0.9457)  4 Pt 2.60-2.69
Si (0.0000, 0.0000, 0.5543)  4 Pt 2.60-2.69
In (0.5000, 0.5000, 0.2500)  4 In 3.10, 8 Si 3.14-3.22

---

(2)
TbPrCd | PBE-GGA | relaxed

Values from the calculation:
Energy of formation in kcal/mol of atoms: -4.5
E above lowest polymorph in meV/atom: 0
DOS at the Fermi energy in states/eV/atom: 1.3203
Spin magnetization in μB per cell: 0.36

Cell lengths 3.7185, 3.7185, 7.0331 Å; angles 105.33, 105.33, 90.00 degrees
With the nearest neighbours (Å) after each atom.
Atoms (fractional coordinates):
Cd (0.6730, 0.6730, 0.3460)  4 Tb 3.24, 4 Pr 3.40
Pr (0.0083, 0.0083, 0.0167)  4 Cd 3.40, 4 Tb 3.61, 4 Pr 3.72
Tb (0.3187, 0.3187, 0.6374)  4 Cd 3.24, 4 Pr 3.61

---

(3)
V2ReMo3 | PBE-GGA | relaxed

Values from the calculation:
Energy of formation in kcal/mol of atoms: 2.2
E above lowest polymorph in meV/atom: 262
DOS at the Fermi energy in states/eV/atom: 0.8006
Spin magnetization in μB per cell: 0.00

Cell lengths 4.3047, 8.9418, 6.6693 Å; angles 130.25, 90.00, 103.93 degrees
With the nearest neighbours (Å) after each atom.
Atoms (fractional coordinates):
V (0.2291, 0.4582, 0.8102)  3 Re 2.56-2.64, 5 Mo 2.68-2.73
V (0.5433, 0.0867, 0.8974)  5 Mo 2.50-2.78, 1 V 2.62, 2 Re 2.62
V (0.7709, 0.5418, 0.1898)  3 Re 2.56-2.64, 5 Mo 2.68-2.73
V (0.4567, 0.9133, 0.1026)  5 Mo 2.50-2.78, 1 V 2.62, 2 Re 2.62
Re (0.1562, 0.3124, 0.0407)  5 V 2.56-2.64, 2 Mo 2.67-2.73
Re (0.8438, 0.6876, 0.9593)  5 V 2.56-2.64, 2 Mo 2.67-2.73
Mo (0.0721, 0.1442, 0.2700)  3 V 2.63-2.71, 3 Mo 2.66-2.69, 1 Re 2.73
Mo (0.9279, 0.8558, 0.7300)  3 V 2.63-2.71, 3 Mo 2.66-2.69, 1 Re 2.73
Mo (0.3099, 0.6199, 0.5730)  2 V 2.64-2.73, 5 Mo 2.66-2.69, 1 Re 2.67
Mo (0.6093, 0.2187, 0.6590)  5 V 2.50-2.78, 1 Mo 2.69
Mo (0.3907, 0.7813, 0.3410)  5 V 2.50-2.78, 1 Mo 2.69
Mo (0.6901, 0.3801, 0.4270)  2 V 2.64-2.73, 5 Mo 2.66-2.69, 1 Re 2.67

---

(4)
LaTiAlO4 | PBE-GGA | relaxed

Values from the calculation:
DOS at the Fermi energy in states/eV/atom: 0.9954
Spin magnetization in μB per cell: 0.37
ΔE_f (raw) in eV per atom: -2.34

Cell lengths 5.8141, 5.8141, 5.8141 Å; angles 60.00, 60.00, 60.00 degrees
With the nearest neighbours (Å) after each atom.
Atoms (fractional coordinates):
O (0.8811, 0.3730, 0.3730)  1 Al 1.75, 1 Ti 1.81
O (0.3730, 0.3730, 0.3730)  1 Al 1.75, 1 Ti 1.81
O (0.3730, 0.3730, 0.8811)  1 Al 1.75, 1 Ti 1.81
O (0.3730, 0.8811, 0.3730)  1 Al 1.75, 1 Ti 1.81
Al (0.2500, 0.2500, 0.2500)  4 O 1.75
La (0.7500, 0.7500, 0.7500)  12 O 3.41, 4 Ti 3.56
Ti (0.5000, 0.5000, 0.5000)  4 O 1.81

---

(5)
Na2Ge2H7 | PBE-GGA | relaxed

Values from the calculation:
Raw total energy in eV/f.u.: -33.87
DOS at the Fermi energy in states/eV/atom: 0.2077
Spin magnetization in μB per cell: 0.00

Cell lengths 4.3162, 5.7706, 5.7706 Å; angles 81.02, 93.24, 93.24 degrees
With the nearest neighbours (Å) after each atom.
Atoms (fractional coordinates):
Ge (0.4455, 0.2134, 0.2134)  3 H 1.61-1.62
Ge (0.5545, 0.7866, 0.7866)  3 H 1.61-1.62
H (0.7487, 0.8806, 0.5584)  1 Ge 1.61
H (0.2513, 0.4416, 0.1194)  1 Ge 1.61
H (0.2805, 0.6496, 0.6496)  1 Ge 1.62
H (0.7195, 0.3504, 0.3504)  1 Ge 1.62
H (0.5000, 0.0000, 0.0000)  2 Ge 1.90
H (0.2513, 0.1194, 0.4416)  1 Ge 1.61
H (0.7487, 0.5584, 0.8806)  1 Ge 1.61
Na (0.0000, 0.2618, 0.7382)  4 H 2.35-2.48
Na (0.0000, 0.7382, 0.2618)  4 H 2.35-2.48

---

(6)
TcSb3Ir | PBE-GGA | relaxed

Values from the calculation:
E above lowest polymorph in meV/atom: 0
DOS at the Fermi energy in states/eV/atom: 0.8531
Spin magnetization in μB per cell: 0.00
ΔE_f (raw) in eV per atom: 1.00
~~~

### Job
The reader should set down the whole of the entries above character by character.

### Here it is
(1)
InSi2Pt | PBE-GGA | relaxed

Values from the calculation:
DOS at the Fermi energy in states/eV/atom: 0.5109
Spin magnetization in μB per cell: 0.00
ΔE_f (raw) in eV per atom: 0.02

Cell lengths 3.0967, 3.0967, 7.5680 Å; angles 90.00, 90.00, 92.95 degrees
With the nearest neighbours (Å) after each atom.
Atoms (fractional coordinates):
Pt (0.5000, 0.5000, 0.7500)  8 Si 2.60-2.69
Si (0.0000, 0.0000, 0.9457)  4 Pt 2.60-2.69
Si (0.0000, 0.0000, 0.5543)  4 Pt 2.60-2.69
In (0.5000, 0.5000, 0.2500)  4 In 3.10, 8 Si 3.14-3.22

---

(2)
TbPrCd | PBE-GGA | relaxed

Values from the calculation:
Energy of formation in kcal/mol of atoms: -4.5
E above lowest polymorph in meV/atom: 0
DOS at the Fermi energy in states/eV/atom: 1.3203
Spin magnetization in μB per cell: 0.36

Cell lengths 3.7185, 3.7185, 7.0331 Å; angles 105.33, 105.33, 90.00 degrees
With the nearest neighbours (Å) after each atom.
Atoms (fractional coordinates):
Cd (0.6730, 0.6730, 0.3460)  4 Tb 3.24, 4 Pr 3.40
Pr (0.0083, 0.0083, 0.0167)  4 Cd 3.40, 4 Tb 3.61, 4 Pr 3.72
Tb (0.3187, 0.3187, 0.6374)  4 Cd 3.24, 4 Pr 3.61

---

(3)
V2ReMo3 | PBE-GGA | relaxed

Values from the calculation:
Energy of formation in kcal/mol of atoms: 2.2
E above lowest polymorph in meV/atom: 262
DOS at the Fermi energy in states/eV/atom: 0.8006
Spin magnetization in μB per cell: 0.00

Cell lengths 4.3047, 8.9418, 6.6693 Å; angles 130.25, 90.00, 103.93 degrees
With the nearest neighbours (Å) after each atom.
Atoms (fractional coordinates):
V (0.2291, 0.4582, 0.8102)  3 Re 2.56-2.64, 5 Mo 2.68-2.73
V (0.5433, 0.0867, 0.8974)  5 Mo 2.50-2.78, 1 V 2.62, 2 Re 2.62
V (0.7709, 0.5418, 0.1898)  3 Re 2.56-2.64, 5 Mo 2.68-2.73
V (0.4567, 0.9133, 0.1026)  5 Mo 2.50-2.78, 1 V 2.62, 2 Re 2.62
Re (0.1562, 0.3124, 0.0407)  5 V 2.56-2.64, 2 Mo 2.67-2.73
Re (0.8438, 0.6876, 0.9593)  5 V 2.56-2.64, 2 Mo 2.67-2.73
Mo (0.0721, 0.1442, 0.2700)  3 V 2.63-2.71, 3 Mo 2.66-2.69, 1 Re 2.73
Mo (0.9279, 0.8558, 0.7300)  3 V 2.63-2.71, 3 Mo 2.66-2.69, 1 Re 2.73
Mo (0.3099, 0.6199, 0.5730)  2 V 2.64-2.73, 5 Mo 2.66-2.69, 1 Re 2.67
Mo (0.6093, 0.2187, 0.6590)  5 V 2.50-2.78, 1 Mo 2.69
Mo (0.3907, 0.7813, 0.3410)  5 V 2.50-2.78, 1 Mo 2.69
Mo (0.6901, 0.3801, 0.4270)  2 V 2.64-2.73, 5 Mo 2.66-2.69, 1 Re 2.67

---

(4)
LaTiAlO4 | PBE-GGA | relaxed

Values from the calculation:
DOS at the Fermi energy in states/eV/atom: 0.9954
Spin magnetization in μB per cell: 0.37
ΔE_f (raw) in eV per atom: -2.34

Cell lengths 5.8141, 5.8141, 5.8141 Å; angles 60.00, 60.00, 60.00 degrees
With the nearest neighbours (Å) after each atom.
Atoms (fractional coordinates):
O (0.8811, 0.3730, 0.3730)  1 Al 1.75, 1 Ti 1.81
O (0.3730, 0.3730, 0.3730)  1 Al 1.75, 1 Ti 1.81
O (0.3730, 0.3730, 0.8811)  1 Al 1.75, 1 Ti 1.81
O (0.3730, 0.8811, 0.3730)  1 Al 1.75, 1 Ti 1.81
Al (0.2500, 0.2500, 0.2500)  4 O 1.75
La (0.7500, 0.7500, 0.7500)  12 O 3.41, 4 Ti 3.56
Ti (0.5000, 0.5000, 0.5000)  4 O 1.81

---

(5)
Na2Ge2H7 | PBE-GGA | relaxed

Values from the calculation:
Raw total energy in eV/f.u.: -33.87
DOS at the Fermi energy in states/eV/atom: 0.2077
Spin magnetization in μB per cell: 0.00

Cell lengths 4.3162, 5.7706, 5.7706 Å; angles 81.02, 93.24, 93.24 degrees
With the nearest neighbours (Å) after each atom.
Atoms (fractional coordinates):
Ge (0.4455, 0.2134, 0.2134)  3 H 1.61-1.62
Ge (0.5545, 0.7866, 0.7866)  3 H 1.61-1.62
H (0.7487, 0.8806, 0.5584)  1 Ge 1.61
H (0.2513, 0.4416, 0.1194)  1 Ge 1.61
H (0.2805, 0.6496, 0.6496)  1 Ge 1.62
H (0.7195, 0.3504, 0.3504)  1 Ge 1.62
H (0.5000, 0.0000, 0.0000)  2 Ge 1.90
H (0.2513, 0.1194, 0.4416)  1 Ge 1.61
H (0.7487, 0.5584, 0.8806)  1 Ge 1.61
Na (0.0000, 0.2618, 0.7382)  4 H 2.35-2.48
Na (0.0000, 0.7382, 0.2618)  4 H 2.35-2.48

---

(6)
TcSb3Ir | PBE-GGA | relaxed

Values from the calculation:
E above lowest polymorph in meV/atom: 0
DOS at the Fermi energy in states/eV/atom: 0.8531
Spin magnetization in μB per cell: 0.00
ΔE_f (raw) in eV per atom: 1.00